Define Samm Meaning

another way to spell the popular name "sam" adding another m makes it cool & original

Between two parts of the article: records of crystals:
┌──
The following is a simulated X-ray powder pattern of PuIn4Au4. It was derived from the PBE geometry in Alexandria, using Cu Kα (weighted mean of Kα1 and Kα2).
Neutral-atom scattering factors, no anomalous dispersion.

Atomic structure:
abc: 6.8528 6.8528 9.1875
angles: 90.00 90.00 90.00
Atoms (fractional coordinates):
Pu 0.2500 0.7500 0.2500
Pu 0.7500 0.2500 0.7500
In 0.0185 0.2500 0.1419
In 0.2500 0.0185 0.6419
In 0.2500 0.4815 0.6419
In 0.4815 0.2500 0.1419
In 0.5185 0.7500 0.8581
In 0.7500 0.5185 0.3581
In 0.7500 0.9815 0.3581
In 0.9815 0.7500 0.8581
Au 0.0346 0.2500 0.4456
Au 0.2500 0.0346 0.9456
Au 0.2500 0.4654 0.9456
Au 0.4654 0.2500 0.4456
Au 0.5346 0.7500 0.5544
Au 0.7500 0.5346 0.0544
Au 0.7500 0.9654 0.0544
Au 0.9654 0.7500 0.5544

Peak list (12 most intense, 2θ from 10° to 80°, by angle)
hkl, 2θ (°), I_rel
1 1 2, 26.74, 26
2 0 1, 27.79, 33
2 1 1, 30.75, 100
1 0 3, 32.01, 47
2 2 0, 37.11, 40
2 0 3, 39.46, 49
1 0 4, 41.46, 22
3 1 0, 41.68, 22
2 2 2, 42.17, 31
3 0 3, 49.80, 33
4 0 0, 53.49, 28
4 2 3, 68.47, 20


No. 1
The following is a simulated X-ray diffraction stick pattern of Ti3Co20B6. It was derived from a structure optimized by DFT (PBE), using copper Kα.

Top 8 peaks for 10 to 90 degrees two-theta, low angle first:
2theta, I_rel
38.4, 221
42.2, 225
44.9, 1000
49.1, 187
51.5, 308
52.3, 133
77.1, 196
79.0, 119

Cell: 7.4215 7.4215 7.4215 Å, 60.00 60.00 60.00°
Fractional coordinates of all 29 atoms:
Ti  0.0000  0.0000  0.0000
Ti  0.2500  0.2500  0.2500
Ti  0.7500  0.7500  0.7500
Co  0.0000  0.0000  0.3418
Co  0.0000  0.0000  0.6582
Co  0.0000  0.3418  0.0000
Co  0.0000  0.3418  0.6582
Co  0.0000  0.6582  0.0000
Co  0.0000  0.6582  0.3418
Co  0.1479  0.6174  0.6174
Co  0.3418  0.0000  0.0000
Co  0.3418  0.0000  0.6582
Co  0.3418  0.6582  0.0000
Co  0.3826  0.3826  0.3826
Co  0.3826  0.3826  0.8521
Co  0.3826  0.8521  0.3826
Co  0.6174  0.1479  0.6174
Co  0.6174  0.6174  0.1479
Co  0.6174  0.6174  0.6174
Co  0.6582  0.0000  0.0000
Co  0.6582  0.0000  0.3418
Co  0.6582  0.3418  0.0000
Co  0.8521  0.3826  0.3826
B  0.2717  0.2717  0.7283
B  0.2717  0.7283  0.2717
B  0.2717  0.7283  0.7283
B  0.7283  0.2717  0.2717
B  0.7283  0.2717  0.7283
B  0.7283  0.7283  0.2717

No. 2
The following is a simulated X-ray diffraction stick pattern of NdTa3O9. It was derived from a structure optimized by DFT (PBE), using copper Kα.

Top 8 peaks for 10 to 90 degrees two-theta, low angle first:
2theta, I_rel
11.1, 170
22.3, 300
22.5, 635
31.9, 1000
32.1, 512
46.0, 313
57.1, 405
66.8, 180

Cell: 5.5803 8.8263 8.8845 Å, 101.51 108.26 108.40°
Fractional coordinates of all 26 atoms:
Nd  0.1738  0.3369  0.4977
Nd  0.8262  0.6631  0.5023
Ta  0.1652  0.5874  0.2414
Ta  0.1663  0.0821  0.7497
Ta  0.4879  0.2379  0.2356
Ta  0.5121  0.7621  0.7644
Ta  0.8337  0.9179  0.2503
Ta  0.8348  0.4126  0.7586
O  0.0000  0.0000  0.5000
O  0.0000  0.5000  0.0000
O  0.0050  0.2536  0.7313
O  0.1488  0.5737  0.7193
O  0.1741  0.0949  0.2674
O  0.3012  0.8997  0.7302
└──

samm is the coolest chick ever.
By Marie-Ann
Samm is a lot of things. And is a cool girl who has style. She is a girl who is there for everyone to talk to and give advice at anytime. She is usually smart but doesn't like to pay attention in class. She is loved by many but also hated by many. She tries hard at anything she does. She is very athletic. Many people think she is pretty but she may have low-self esteem at times. If you date a Samm then you know she will stay loyal to only you. If a Samm falls in love then she falls hard. A Samm often gets very socially awkward without the intentions to.

cool Awesome samm

Girl 1: "Did u see that girl today? She was drop dead gorgeous."

Girl 2: "Must be a Samm."

Girl 3: "I hate her."

Girl 2: "How could u hate a Samm?!"

Crystal structures from another source follow:
┌──
1.
For Ba5Sr3Ni2, a cell relaxed with GGA-PBE gives the computed PXRD pattern in this record (Cu Ka).
No peak broadening, texture or thermal motion is included.

Structure:
Cell: 12.4687 17.6929 8.8555 Å, 90.00 90.00 90.00°
Space group Ibam (No. 72)
Symmetry-distinct sites (fractional):
1 Ba 0.0000 0.0000 0.2500
2 Ba 0.0000 0.2573 0.2500
3 Ba 0.2402 0.3772 0.0000
4 Sr 0.0000 0.5000 0.2500
5 Sr 0.2384 0.3781 0.5000
6 Ni 0.9997 0.3763 0.0000

Largest 10 diffraction maxima, low angle first, 2θ from 10° to 90°:
2θ 24.67, d 3.609, I 100, hkl 2 0 2
2θ 28.52, d 3.129, I 62, hkl 0 4 2
2θ 28.64, d 3.117, I 30, hkl 4 0 0
2θ 40.78, d 2.213, I 23, hkl 0 0 4
2θ 40.86, d 2.208, I 45, hkl 4 4 2
2θ 48.24, d 1.886, I 31, hkl 2 4 4
2θ 48.39, d 1.881, I 15, hkl 6 0 2
2θ 50.59, d 1.804, I 24, hkl 4 0 4
2θ 66.88, d 1.399, I 20, hkl 0 4 6
2θ 74.29, d 1.277, I 15, hkl 4 4 6

2.
For AlV3H, a cell relaxed with GGA-PBE gives the computed PXRD pattern in this record (Cu Ka).
No peak broadening, texture or thermal motion is included.

Structure:
Cell: 6.9413 4.9742 8.7678 Å, 90.00 128.93 90.00°
Space group P2_1/c (No. 14)
Symmetry-distinct sites (fractional):
1 Al 0.1686 0.2503 0.0841
2 V 0.0003 0.9997 0.2501
3 V 0.3283 0.7503 0.1688
4 V 0.4433 0.2500 0.4692
5 H 0.2315 0.7493 0.4229

Largest 10 diffraction maxima, low angle first, 2θ from 10° to 90°:
2θ 31.86, d 2.809, I 37, hkl 0 1 2
2θ 36.11, d 2.487, I 29, hkl 0 2 0
2θ 39.11, d 2.303, I 58, hkl 1 0 2
2θ 39.26, d 2.295, I 65, hkl 3 0 -2
2θ 39.91, d 2.259, I 81, hkl 1 2 0
2θ 41.18, d 2.192, I 100, hkl 2 0 -4
2θ 41.76, d 2.163, I 36, hkl 1 2 -2
2θ 43.29, d 2.090, I 54, hkl 1 1 2
2θ 43.43, d 2.084, I 50, hkl 3 1 -2
2θ 45.15, d 2.008, I 72, hkl 2 2 -2

3.
For Rb2GeTeS, a cell relaxed with GGA-PBE gives the computed PXRD pattern in this record (Cu Ka).
No peak broadening, texture or thermal motion is included.

Structure:
Cell: 8.9353 4.4471 10.2424 Å, 90.00 103.52 90.00°
Space group P2_1/m (No. 11)
Symmetry-distinct sites (fractional):
1 Rb 0.1509 0.2500 0.4039
2 Rb 0.2817 0.2500 0.8992
3 Ge 0.4791 0.7500 0.6324
4 Te 0.3611 0.7500 0.2036
5 S 0.2324 0.7500 0.6566

Largest 10 diffraction maxima, low angle first, 2θ from 10° to 90°:
2θ 10.18, d 8.688, I 55, hkl 1 0 0
2θ 26.88, d 3.317, I 100, hkl 0 1 2
2θ 28.63, d 3.118, I 16, hkl 2 1 -1
2θ 28.73, d 3.107, I 24, hkl 2 1 0
2θ 29.81, d 2.997, I 23, hkl 2 0 -3
2θ 30.05, d 2.973, I 32, hkl 3 0 -1
2θ 30.30, d 2.949, I 37, hkl 1 1 2
2θ 36.10, d 2.488, I 17, hkl 0 0 4
2θ 39.92, d 2.258, I 40, hkl 3 1 1
2θ 40.57, d 2.224, I 23, hkl 0 2 0

4.
For Ho2NpRu2, a cell relaxed with GGA-PBE gives the computed PXRD pattern in this record (Cu Ka).
No peak broadening, texture or thermal motion is included.

Structure:
Cell: 9.9860 5.7951 7.7671 Å, 90.00 101.20 90.00°
Space group C2/c (No. 15)
Symmetry-distinct sites (fractional):
1 Ho 0.1516 0.1319 0.1515
2 Np 0.0000 0.3606 0.7500
3 Ru 0.1282 0.3653 0.5100

Largest 10 diffraction maxima, low angle first, 2θ from 10° to 90°:
└──

Girl 3: "I don't have a reason. She is just such a Samm!"
By Fleur
Samme is a fun loving, popular girl. She's a cheerleader, and in ASB. She's a little weird, but you'll never get bored around her. She's there for you whenever you need her, as long as you're on her good side. if you aren't, she'll talk shit about you without fear.

man, i wish i hadn't gotten in that fight with samme. now everyone hates me.
By Sonni
An alternative spelling of Sam (short for Samantha) that looks more feminine and interesting.

Samm is a really great girl.
By Bernice

Girl 1: Did you hear about how tiffany started that rumor about that girl? It was horribly mean!
Girl 2: Oh my god I heard that, shes such a samm. I hate her.
By Alvina
A bastardisation of "Damn" derived from a typo.

"Samm it!"

"...And God sammed them all to hell for their sins"
By Bette-Ann
Samm is the shortened form of the name Sammantha.
Some awesome people have parents that want their child to have a different more creative spelling of the name "Samantha" so they add and extra "m".
Therefore the people with this awesome and creative spelling have the right to shorten it to "Samm" which also has to m’s.
But the problem with this is that some ungrateful bitches with the original spelling of the name "Samantha" steal this originality by stealing the extra m and adding it to their name and pretending they came up with it in their little fucking retarded head.

By Theda
A girl who is in love with a boy called park chanyeol

Omg I love chanyeol just like Samm
By Agnes
A person you cannot trust, they will turn on you the second they get something better. They are the people who think that their friends are first but really they arent

person 1: "oh look Samme got in a fight with Thomas and She is saying it is his fault"
person 2"nope, just a Samme being a Samme."
By Deena
The Samm’s Sammich
The Samm’s Sammich is a sandwich that consists of Turkey, Roast Beef, Salami, Pepperoni, Ham, Grilled Chicken, Veggie Patty, Tuna, Meatballs and Fake Crab Meat. Rumored to have been created by legendary D-List actor Jermaine “Huggy” Hopkins. Huggy is also the creator of Huggy’s Huggies, an adult diaper brand.

(Here the entry breaks off for records of crystals)
The following is a theoretical powder diffractogram of B2Mo. It was derived from the GGA-PBE geometry in the Materials Project, using a wavelength of 1.5418 Å.
No peak broadening, texture or thermal motion is included.

Peak list (7 most intense, 2θ = 5–70°, sorted by position)
2θ (°), I/Imax
26.61, 382
34.16, 746
43.82, 1000
54.82, 94
61.16, 201
66.20, 213
67.89, 170

Structure:
a = 3.030 Å, b = 3.030 Å, c = 3.349 Å
α = 90.00°, β = 90.00°, γ = 120.00°
Element x y z (fractional)
B 0.333 0.667 0.000
B 0.667 0.333 0.000
Mo 0.000 0.000 0.500


[1]
This entry pairs a crystal structure of Cs12Sn2Bi6O with its theoretical X-ray powder pattern. Radiation: λ = 1.5418 Å (Cu Kα). Structure: a structure optimized by DFT (PBE).
Intensities are scaled so that the largest is 100.

Structural model:
a = 13.6449 Å, b = 13.6449 Å, c = 6.5922 Å
α = 90.00°, β = 90.00°, γ = 120.00°
Space group P-3m1 (No. 164)
Asymmetric unit:
Cs: 0.0977 0.5489 0.2506 [6 per cell]
Cs: 0.1111 0.2223 0.2234 [6 per cell]
Sn: 0.3333 0.6667 0.7492 [2 per cell]
Bi: 0.2115 0.4230 0.7491 [6 per cell]
O: 0.0000 0.0000 0.0000 [1 per cell]

The 10 most intense peaks (5° ≤ 2θ ≤ 70°), by angle:
index  d/Å  I (rel.)
1 0 1  5.757  12
3 0 0  3.939  16
3 0 1  3.381  100
0 0 2  3.296  25
0 3 2  2.528  11
3 3 0  2.274  25
3 0 3  1.919  20
0 6 1  1.887  17
3 3 2  1.872  27
6 3 1  1.452  12

=====

[2]
This entry pairs a crystal structure of Cs2Bi2Pd with its theoretical X-ray powder pattern. Radiation: λ = 1.5418 Å (Cu Kα). Structure: a structure optimized by DFT (PBE).
Intensities are scaled so that the largest is 100.

Structural model:
a = 8.067 Å, b = 15.168 Å, c = 7.170 Å
α = 90.00°, β = 90.00°, γ = 90.00°
Space group Cmcm (No. 63)
Asymmetric unit:
Cs: 0.000 0.102 0.250 [4 per cell]
Cs: 0.000 0.305 0.750 [4 per cell]
Bi: 0.185 0.400 0.250 [8 per cell]
Pd: 0.000 0.500 0.000 [4 per cell]

The 10 most intense peaks (5° ≤ 2θ ≤ 70°), by angle:
index  d/Å  I (rel.)
0 2 0  7.584  24
1 1 0  7.122  47
1 3 1  3.678  74
0 0 2  3.585  47
2 2 1  3.189  100
0 4 2  2.605  36
3 1 2  2.130  34
3 5 0  2.011  52
2 2 3  1.985  26
3 5 2  1.755  24

=====

[3]
This entry pairs a crystal structure of CsBiS2 with its theoretical X-ray powder pattern. Radiation: λ = 1.5418 Å (Cu Kα). Structure: a structure optimized by DFT (PBE).
Intensities are scaled so that the largest is 100.

Structural model:
a = 8.193 Å, b = 9.595 Å, c = 7.517 Å
α = 90.00°, β = 103.29°, γ = 90.00°
Space group P2_1/c (No. 14)
Asymmetric unit:
Cs: 0.133 0.069 0.289 [4 per cell]
Bi: 0.411 0.666 0.363 [4 per cell]
S: 0.193 0.746 0.540 [4 per cell]
S: 0.330 0.091 0.806 [4 per cell]

The 10 most intense peaks (5° ≤ 2θ ≤ 70°), by angle:
index  d/Å  I (rel.)
1 0 0  7.973  38
1 2 0  4.111  34
0 2 1  4.012  84
2 1 0  3.682  52
1 0 -2  3.658  46
2 1 -1  3.611  90
0 1 2  3.417  52
2 1 1  3.040  35
1 1 2  2.924  100
1 3 -1  2.836  42

=====

[4]

Guy 1: I’m so hungry, I wish somebody had a sandwich with fake crab meat to satisfy my cravings.

Guy 2: Shit dawg, have The Samm’s Sammich!
By Antonetta